Class AbstractLineGraph

  • Direct Known Subclasses:
    AreaGraph, LineGraph

    public abstract class AbstractLineGraph
    extends AxesGraph

    The abstract superclass for all graphs plotting continuous data (as opposed to bar graphs, which are for plotting discrete data). Unlike Pie Graphs and Bar Graphs, Line Graphs plot a Curve, which covers everything from a set of X and Y values (a DataCurve) to complex mathematical functions.

    Several curves can be plotted on the same graph, for example to compare a set of readings with a theoretical curve.

    • Field Detail

      • minx

        protected double minx
        The minimum and maximum X and Y values that are being plotted
      • maxx

        protected double maxx
        The minimum and maximum X and Y values that are being plotted
      • minval

        protected double minval
        The minimum and maximum X and Y values that are being plotted
      • maxval

        protected double maxval
        The minimum and maximum X and Y values that are being plotted
    • Constructor Detail

      • AbstractLineGraph

        protected AbstractLineGraph()
    • Method Detail

      • setCurve

        public void setCurve​(java.lang.String name,
                             Curve curve,
                             java.awt.Color color)
        Add a Curve to the graph in the specified color. If a curve with this name already exists it will be replaced.
        name - the name to give this curve
        curve - the curve to add
        color - the color to plot this curve in
      • setCurve

        public void setCurve​(java.lang.String name,
                             Curve curve)
        Add a Curve to the graph in the next default color. If a curve with this name already exists it will be replaced.
        name - the name to give this curve
        curve - the curve to add
      • optionMinX

        public void optionMinX​(double val)
        The minimum value to plot on the X axis. This is only a recommendation - if you're plotting one or more DataCurve, the actual minimum will be the lesser of this value and the lowest value in the curve. For graphs plotting only one or more FunctionCurve, this value is mandatory.

        Default: data-driven

      • optionMaxX

        public void optionMaxX​(double val)
        The maximum value to plot on the X axis.

        Default: data-driven

      • optionFunctionSmoothness

        public void optionFunctionSmoothness​(double val)
        If you're plotting a FunctionCurve, how many steps to divide the curve into. Higher numbers give smoother curves, but slower rendering times.

        Default: 30

      • optionMaxDataPoints

        public void optionMaxDataPoints​(int val)
        If you're plotting a DataCurve, the maximum number of values to plot. If your data set has thousands of values, you may set this and drop a few to speed things up (exactly which points are dropped are undefined, but the remaning data is guaranteed to be evenly spread across the graph).

        Default: 100

      • optionCurveDepth

Inserted here: calculated crystals:
TiVC2 | the Alexandria database | PBE | optimized geometry; electronic total energy = -33.82 eV for the cell shown; D(E_F) = 4.33 states/eV/cell; energy of formation = 1.64 eV per formula unit; space group = Fm-3m (225); magnetic moment = 0.065 μB per atom
1.0
0.0000 2.6533 2.6533
2.6533 0.0000 2.6533
2.6533 2.6533 0.0000
Ti V C
1 1 2
Direct
0.0000 0.0000 0.0000
0.5000 0.5000 0.5000
0.2500 0.2500 0.2500
0.7500 0.7500 0.7500

***

TiV2ZnC | the Alexandria database | PBE | optimized geometry; electronic total energy = -38.02 eV for the cell shown; D(E_F) = 3.54 states/eV/cell; energy of formation = -1.39 eV per formula unit; space group = P4/mmm (123); magnetic moment = 0.000 μB per atom
1.0
3.9679 0.0000 0.0000
0.0000 3.9679 0.0000
0.0000 0.0000 4.1800
Ti V Zn C
1 2 1 1
Direct
0.0000 0.0000 0.0000
0.0000 0.5000 0.5000
0.5000 0.0000 0.5000
0.5000 0.5000 0.0000
0.0000 0.0000 0.5000

***

ZrTi2VC | the Alexandria database | PBE | optimized geometry; electronic total energy = -43.70 eV for the cell shown; D(E_F) = 5.76 states/eV/cell; energy of formation = -1.02 eV per formula unit; space group = P4/mmm (123); energy above the lowest structure with this stoichiometry = 0 meV/atom; magnetic moment = 0.000 μB per atom
1.0
4.3133 0.0000 0.0000
0.0000 4.3133 0.0000
0.0000 0.0000 4.0803
Zr Ti V C
1 2 1 1
Direct
0.0000 0.0000 0.0000
0.0000 0.5000 0.5000
0.5000 0.0000 0.5000
0.5000 0.5000 0.0000
0.5000 0.5000 0.5000

***

ZrTi2VC | the Alexandria database | PBE | optimized geometry; electronic total energy = -29.98 eV for the cell shown; D(E_F) = 6.01 states/eV/cell; energy of formation = 12.70 eV per formula unit; space group = P4/mmm (123); energy above the lowest structure with this stoichiometry = 2744 meV/atom; magnetic moment = 0.470 μB per atom
1.0
4.8262 0.0000 0.0000
0.0000 4.8262 0.0000
0.0000 0.0000 4.5396
Zr Ti V C
1 2 1 1
Direct
0.0000 0.0000 0.0000
0.0000 0.5000 0.0000
0.5000 0.0000 0.0000
0.0000 0.0000 0.5000
0.5000 0.5000 0.5000

***

Ti5WC5 | the Alexandria database | PBE | optimized geometry; electronic total energy = -106.16 eV for the cell shown; D(E_F) = 4.89 states/eV/cell; energy of formation = -7.62 eV per formula unit; space group = C2/m (12); magnetic moment = 0.000 μB per atom
1.0
4.8548 -2.1635 0.0000
4.8548 2.1635 0.0000
-1.9560 0.0000 5.8125
Ti W C
5 1 5
Direct
0.0000 0.0000 0.0000
0.3206 0.3206 0.1692
0.3296 0.3296 0.6541
0.6704 0.6704 0.3459
0.6794 0.6794 0.8308
0.0000 0.0000 0.5000
0.1664 0.1664 0.8356
0.1670 0.1670 0.3323
0.5000 0.5000 0.5000
0.8330 0.8330 0.6677
0.8336 0.8336 0.1644

***

Ti4WC5 | the Alexandria database | PBE | optimized geometry; electronic total energy = -97.15 eV for the cell shown; D(E_F) = 3.01 states/eV/cell; energy of formation = -6.50 eV per formula unit; space group = R-3m (166); magnetic moment = 0.000 μB per atom
1.0
1.5327 0.8849 12.6047
-1.5327 0.8849 12.6047
0.0000 -1.7698 12.6047
Ti W C
4 1 5
Direct
0.0986 0.0986 0.0986
0.3006 0.3006 0.3006
0.6994 0.6994 0.6994
0.9014 0.9014 0.9014

        public void optionCurveDepth​(double val)
        The depth "into the screen" of a curve. Higher values give thicker curves.

        Default: 1

      • postDrawLines

        protected void postDrawLines()
      • plotLine

        protected abstract double plotLine​(int set,
                                           Curve c,
                                           double prevlastval,
                                           double prevval,
                                           double lastx,
                                           double x,
                                           double linewidth,
                                           boolean isLast,
                                           java.util.Map m)
        Actually plot the line. This method needs to be filled in by concrete subclasses of this class. This method must handle NaN and Infinite values. All current subclasses deal with these by skipping those points and leaving a gap in the line.
        set - The number of the set that's being plotted
        c - The curve that's being plotted
        prevlastval - The value returned by the last X value from the previous set. Set to Double.NaN if there was no previous set, or no last X value.
        prevval - The value returned by this X value from the previous set. Set to Double.NaN if no previous set.
        lastx - The last X value passed in. Set to Double.NaN if no previous X value exists.
        x - The current X value.
        linewidth - The width (or rather depth) of the line to be plotted.
        isLast - Whether this X value is the last value in the set.
        m - A map which can be used by plotLine to pass data between other calls to plotLine. A common use is to set a "start" value if this is the first X value in the set.